Be Knowledgeable about HR 1384
The more you know about Medicare for All, the better your pitch to your representative will be. Included in this organizing guide is a summary of and a set of talking points about HR 1384, but do your own research and make the issue your own. Some particular things to think about as you prepare:
Someone pasted materials data at this point:
____________
1.
The following is a PBE calculation of a relaxed Cu4Pd crystal, from Materials Project.

Properties
Energy of formation: -70 meV per atom
Space group: P4_2/m (84)
Crystal system: tetragonal
Calculated volume: 252.4 Å³/cell
Uncorrected energy: -4.39 eV per atom

a = 5.908 Å, b = 5.908 Å, c = 7.234 Å
α = 90.00°, β = 90.00°, γ = 90.00°
Element x y z (fractional)
1 Cu 0.000 0.000 0.000
2 Cu 0.000 0.000 0.500
3 Cu 0.097 0.297 0.249
4 Cu 0.097 0.297 0.751
5 Cu 0.192 0.604 0.000
6 Cu 0.297 0.903 0.251
7 Cu 0.297 0.903 0.749
8 Cu 0.396 0.192 0.500
9 Cu 0.500 0.500 0.250
10 Cu 0.500 0.500 0.750
11 Cu 0.604 0.808 0.500
12 Cu 0.703 0.097 0.251
13 Cu 0.703 0.097 0.749
14 Cu 0.808 0.396 0.000
15 Cu 0.903 0.703 0.249
16 Cu 0.903 0.703 0.751
17 Pd 0.208 0.602 0.500
18 Pd 0.398 0.208 0.000
19 Pd 0.602 0.792 0.000
20 Pd 0.792 0.398 0.500

2.
The following is a PBE calculation of a relaxed Ba7Sn3Se13 crystal, from Materials Project.

Properties
Magnetic moment: 0.02 μB/f.u.
Energy of formation: -1684 meV per atom
Space group: Pnma (62)
Crystal system: orthorhombic
Calculated volume: 3093.7 Å³/cell
Uncorrected energy: -4.50 eV per atom

a = 12.915 Å, b = 25.419 Å, c = 9.424 Å
α = 90.00°, β = 90.00°, γ = 90.00°
Element x y z (fractional)
1 Ba 0.024 0.159 0.087
2 Ba 0.024 0.341 0.087
3 Ba 0.146 0.750 0.398
4 Ba 0.157 0.157 0.603
5 Ba 0.157 0.343 0.603
6 Ba 0.187 0.530 0.620
7 Ba 0.187 0.970 0.620
8 Ba 0.313 0.030 0.120
9 Ba 0.313 0.470 0.120
10 Ba 0.343 0.657 0.103
11 Ba 0.343 0.843 0.103
12 Ba 0.354 0.250 0.898
13 Ba 0.476 0.659 0.587
14 Ba 0.476 0.841 0.587
15 Ba 0.524 0.159 0.413
16 Ba 0.524 0.341 0.413
17 Ba 0.646 0.750 0.102
18 Ba 0.657 0.157 0.897
19 Ba 0.657 0.343 0.897
20 Ba 0.687 0.530 0.880
21 Ba 0.687 0.970 0.880
22 Ba 0.813 0.030 0.380
23 Ba 0.813 0.470 0.380
24 Ba 0.843 0.657 0.397
25 Ba 0.843 0.843 0.397
26 Ba 0.854 0.250 0.602
27 Ba 0.976 0.659 0.913
28 Ba 0.976 0.841 0.913
29 Sn 0.049 0.552 0.199
30 Sn 0.049 0.948 0.199
31 Sn 0.243 0.250 0.306
32 Sn 0.257 0.750 0.806
33 Sn 0.451 0.052 0.699
34 Sn 0.451 0.448 0.699
35 Sn 0.549 0.552 0.301
36 Sn 0.549 0.948 0.301
37 Sn 0.743 0.250 0.194
38 Sn 0.757 0.750 0.694
39 Sn 0.951 0.052 0.801
40 Sn 0.951 0.448 0.801
41 Se 0.047 0.250 0.359
42 Se 0.079 0.038 0.311
43 Se 0.079 0.462 0.311
44 Se 0.092 0.621 0.391
45 Se 0.092 0.879 0.391
46 Se 0.104 0.250 0.831
47 Se 0.141 0.073 0.860
48 Se 0.141 0.427 0.860
49 Se 0.150 0.750 0.036
50 Se 0.166 0.573 0.987
51 Se 0.166 0.927 0.987
52 Se 0.216 0.668 0.667
53 Se 0.216 0.832 0.667
54 Se 0.284 0.168 0.167
55 Se 0.284 0.332 0.167
56 Se 0.334 0.073 0.487
57 Se 0.334 0.427 0.487
58 Se 0.350 0.250 0.536
59 Se 0.359 0.573 0.360
60 Se 0.359 0.927 0.360
61 Se 0.396 0.750 0.331
62 Se 0.408 0.121 0.891
63 Se 0.408 0.379 0.891
64 Se 0.421 0.538 0.811
65 Se 0.421 0.962 0.811
66 Se 0.453 0.750 0.859
67 Se 0.547 0.250 0.141
68 Se 0.579 0.038 0.189
69 Se 0.579 0.462 0.189
70 Se 0.592 0.621 0.109
71 Se 0.592 0.879 0.109
72 Se 0.604 0.250 0.669
73 Se 0.641 0.073 0.640
____________
- Check to see if there are any studies about how Medicare for All impacts your state, or conduct your own research if you have the capacity. Phoenix DSA recently conducted such research and has created a simple half-sheet of the findings. Having leave-behind material like this can be very helpful.
- Have some specific facts and figures ready to hand (i.e., 27,000 people in your district do not have health insurance).
- What objections might your representative and/or their staff raise? How will you respond?
Know Your Representative
The more you know about your representative, the better you can move them. Things to consider when researching your representative:
- What has your representative said about healthcare in the past? Is there anything you can use there to pressure them?
- What caucuses and committees does your representative sit on?
- What organizations are close with your representative? Would it be particularly helpful to have representatives from these organizations in your congressional meetings?
- Has your representative accepted money from insurance companies or other healthcare groups? How much and when?
Prepare a Team, Divide up Roles
If you’ve reached out to other groups about being part of your pressure campaign and are prepared to go in to your representative’s office with a team of people representing diverse constituencies, you will make a much greater impact on your representative. Once you have this group assembled, decide who is going to be in the room for the first visit with your representative and divvy up roles as follows:
- 1 Facilitator to open and moderate the meeting and bring leave-behind material for the representative and their staff
- 1 Note Taker to take notes during the meeting
- 1-4 Issue Speaker(s) to review the basic talking points and share personal accounts of how our broken healthcare system has impacted their lives
- 1 Broadcaster who will record your encounter with your representative and/or their staff, and either livestream it or immediately post the content
- 1 Hard Asker who will deliver the final “ask” to your representative
- 1 Validator who follows up with the representative’s office to make sure their answer to the ask is a credible one
People in these roles should prepare note cards for themselves of the basic rap they hope to deliver the day of. This will give you something to reference when you're called to speak, and will help you keep on point and give you something to talk about even if your mind goes blank.
Setting Up a Meeting
Pick a weekday when they’ll be in their office. You can check the congressional calendar and look for legislative recesses here: And you can find in-state contact information for your congressperson here:
Call and ask to set up an appointment to meet with them, explaining that you are their constituent, and that you are representing a coalition of groups that want to win Medicare for All. Make it clear that you plan to show up with a team of people representing a diverse constituency. If they are entirely unable to meet, ask if you can meet with their staff.
Sample Meeting Request Letter
Dear [STAFF],
We would like to request a meeting with [REPRESENTATIVE] in their district office to discuss HR 1384, spearheaded by a coalition of groups working to win Medicare for All.
Medicare for All is a single health insurance system, administered by the federal government, which provides comprehensive coverage that is free at the point of service, provides coverage to all residents regardless of immigration status, and creates a jobs transition program for those currently working in the private healthcare industry. HR 1384 is a true Medicare for All bill that would fix our broken healthcare system.
[IF A SUPPORTER:] We are pleased to see that [REPRESENTATIVE] has already been a co-sponsor of HR 1384 and are hoping to talk to them about becoming a vocal proponent of Medicare for All.
[IF NOT A SUPPORTER:] We are hoping to talk to [REPRESENTATIVE] about becoming a co-sponsor of HR 1384.
We would appreciate the opportunity to meet with [REPRESENTATIVE]. We look forward to hearing from you at your earliest convenience. If you have any questions or comments feel free to contact [GROUP REPRESENTATIVE] at [PHONE] [EMAIL].
Thank you for your consideration.
Meeting Agenda
A standard meeting is 15 minutes. Go early, so you can find their office and not miss the window of time which they have set aside for the meeting.
Before the meeting you want to do a practice session with all the people on your team. Everyone who is part of the visit should know their roles and know what they’re speaking about.
Your meetings should run according to the following rough agenda:
- Introductions
- Try to convey only the most important information in your introduction, so you have time to talk about the bills.
- Be sure to mention if you or others in your group are the legislator's constituents! This has a lot of extra impact, as your legislator will know they have to work to earn your vote.
- Tell your legislator what you do, if it relates to your ask. A nurse's aide or the parent of a disabled child will carry more weight on this issue. Use job titles, not acronyms!
- Share talking points and personal stories
- Have a mix of 1-4 issue speakers who can both relay our talking points about HR 1384 and also share personal stories about their self-interest in winning Medicare for All.
[Calculated crystals that have nothing to do with the page]
<<<
Entry 1:
The following is a PBE calculation of an optimized crystal structure of CuH16PtC4N4O11, from the Materials Project database.

Values from the calculation:
VASP energy (eV/cell): -213.7
MP2020-corrected energy (eV/atom): -5.98
Symmetry: No. 5
Formation energy (eV/atom): -0.87

```
data_CuH16PtC4N4O11
_symmetry_space_group_name_H-M 'P 1'
_symmetry_Int_Tables_number 1
_symmetry_space_group_name_Hall 'P 1'
_cell_length_a 9.206
_cell_length_b 9.206
_cell_length_c 7.462
_cell_angle_alpha 113.87
_cell_angle_beta 113.87
_cell_angle_gamma 44.53
loop_
_atom_site_label
_atom_site_type_symbol
_atom_site_fract_x
_atom_site_fract_y
_atom_site_fract_z
_atom_site_occupancy
Cu1 Cu 0.000 0.000 0.000 1
H1 H 0.141 0.690 0.519 1
H2 H 0.153 0.645 0.284 1
H3 H 0.228 0.460 0.377 1
H4 H 0.310 0.859 0.481 1
H5 H 0.316 0.286 0.905 1
H6 H 0.353 0.251 0.701 1
H7 H 0.355 0.847 0.716 1
H8 H 0.525 0.163 0.311 1
H9 H 0.540 0.772 0.623 1
H10 H 0.709 0.091 0.515 1
H11 H 0.714 0.684 0.095 1
H12 H 0.749 0.647 0.299 1
H13 H 0.754 0.078 0.312 1
H14 H 0.837 0.475 0.689 1
H15 H 0.909 0.291 0.485 1
H16 H 0.922 0.246 0.688 1
Pt1 Pt 0.532 0.468 0.500 1
C1 C 0.202 0.139 0.067 1
C2 C 0.207 0.135 0.274 1
C3 C 0.861 0.798 0.933 1
C4 C 0.865 0.793 0.726 1
N1 N 0.229 0.579 0.409 1
N2 N 0.421 0.771 0.591 1
N3 N 0.643 0.165 0.399 1
N4 N 0.835 0.357 0.601 1
O1 O 0.127 0.063 0.275 1
O2 O 0.129 0.060 0.915 1
O3 O 0.271 0.213 0.059 1
O4 O 0.286 0.198 0.424 1
O5 O 0.359 0.322 0.839 1
O6 O 0.678 0.641 0.161 1
O7 O 0.732 0.268 0.000 1
O8 O 0.787 0.729 0.941 1
O9 O 0.802 0.714 0.576 1
O10 O 0.937 0.873 0.725 1
O11 O 0.940 0.871 0.085 1
```

Entry 2:
The following is a PBE calculation of an optimized crystal structure of CuH20C2S3N8O8, from the Materials Project database.

Values from the calculation:
VASP energy (eV/cell): -921.9
MP2020-corrected energy (eV/atom): -5.62
Symmetry: No. 14
Formation energy (eV/atom): -0.64

```
data_CuH20C2S3N8O8
_symmetry_space_group_name_H-M 'P 1'
_symmetry_Int_Tables_number 1
_symmetry_space_group_name_Hall 'P 1'
_cell_length_a 13.412
_cell_length_b 8.389
_cell_length_c 17.139
_cell_angle_alpha 90.00
_cell_angle_beta 122.28
_cell_angle_gamma 90.00
loop_
_atom_site_label
_atom_site_type_symbol
_atom_site_fract_x
_atom_site_fract_y
_atom_site_fract_z
_atom_site_occupancy
Cu1 Cu 0.130 0.039 0.145 1
Cu2 Cu 0.130 0.461 0.645 1
Cu3 Cu 0.870 0.539 0.355 1
Cu4 Cu 0.870 0.961 0.855 1
H1 H 0.009 0.167 0.203 1
H2 H 0.009 0.333 0.703 1
H3 H 0.023 0.069 0.351 1
H4 H 0.023 0.431 0.851 1
H5 H 0.063 0.501 0.358 1
H6 H 0.063 0.999 0.858 1
H7 H 0.088 0.030 0.721 1
H8 H 0.088 0.470 0.221 1
H9 H 0.104 0.591 0.095 1
H10 H 0.104 0.909 0.595 1
H11 H 0.112 0.720 0.720 1
H12 H 0.112 0.780 0.220 1
H13 H 0.168 0.565 0.795 1
H14 H 0.168 0.935 0.295 1
H15 H 0.181 0.713 0.444 1
H16 H 0.181 0.787 0.944 1
H17 H 0.228 0.511 0.013 1
H18 H 0.228 0.989 0.513 1
H19 H 0.293 0.671 0.081 1
H20 H 0.293 0.829 0.581 1
H21 H 0.312 0.546 0.446 1
H22 H 0.312 0.954 0.946 1
H23 H 0.317 0.743 0.343 1
>>>
- If you don't have one of your own, don't hesitate to share the story of a friend or colleague, so long as you're sure you have accurate information. Or, better yet, bring them along to tell it!
Here the article breaks off for materials data
Compound: NdSiPd
Source: Materials Project
Functional: PBE
Structure: optimized geometry

a = 4.453 Å, b = 7.574 Å, c = 21.858 Å
α = 90.00°, β = 90.00°, γ = 90.00°
Positions (direct):
Pd  0.250  0.417  0.237
Si  0.750  0.915  0.606
Pd  0.750  0.917  0.263
Nd  0.250  0.711  0.002
Nd  0.750  0.205  0.834
Pd  0.750  0.919  0.406
Si  0.250  0.084  0.273
Pd  0.750  0.583  0.763
Nd  0.250  0.789  0.502
Pd  0.250  0.081  0.594
Pd  0.250  0.083  0.936
Nd  0.750  0.211  0.498
Pd  0.750  0.581  0.906
Si  0.250  0.085  0.394
Nd  0.750  0.295  0.667
Pd  0.250  0.419  0.094
Si  0.250  0.410  0.570
Si  0.750  0.585  0.106
Si  0.750  0.916  0.727
Si  0.250  0.090  0.070
Nd  0.750  0.205  0.167
Pd  0.750  0.917  0.064
Si  0.250  0.416  0.773
Nd  0.250  0.795  0.166
Nd  0.250  0.705  0.333
Pd  0.250  0.417  0.436
Si  0.750  0.584  0.227
Nd  0.250  0.795  0.833
Nd  0.750  0.295  0.334
Pd  0.250  0.083  0.737
Nd  0.750  0.289  0.998
Pd  0.750  0.583  0.564
Si  0.750  0.590  0.430
Si  0.250  0.415  0.894
Nd  0.250  0.705  0.666
Si  0.750  0.910  0.930

calculated volume = 20.478 Å³/atom
formation enthalpy at 0 K = -0.93 eV per atom

=====

Compound: Ca5Ge6Pd6
Source: Materials Project
Functional: PBE
Structure: optimized geometry

a = 7.663 Å, b = 7.663 Å, c = 7.663 Å
α = 109.47°, β = 109.47°, γ = 109.47°
Positions (direct):
Pd  0.250  0.750  0.500
Pd  0.500  0.750  0.250
Ca  0.000  0.000  0.000
Ge  0.000  0.653  0.653
Ge  0.653  0.653  0.000
Ge  0.653  0.000  0.653
Pd  0.750  0.250  0.500
Ge  0.000  0.347  0.347
Ca  0.500  0.000  0.000
Pd  0.500  0.250  0.750
Ca  0.000  0.500  0.000
Ca  0.500  0.500  0.500
Ge  0.347  0.347  0.000
Pd  0.750  0.500  0.250
Pd  0.250  0.500  0.750
Ge  0.347  0.000  0.347
Ca  0.000  0.000  0.500

calculated volume = 20.375 Å³/atom
formation enthalpy at 0 K = -0.79 eV per atom

=====

Compound: Li2SnP2O7
Source: Materials Project
Functional: PBE
Structure: optimized geometry

a = 8.345 Å, b = 8.345 Å, c = 9.464 Å
α = 65.07°, β = 65.07°, γ = 36.57°
Positions (direct):
O  0.451  0.780  0.564
O  0.220  0.549  0.936
O  0.276  0.068  0.108
P  0.231  0.986  0.682
O  0.352  0.887  0.824
Sn  0.500  0.500  0.500
Li  0.447  0.161  0.052
O  0.887  0.352  0.324
Li  0.161  0.447  0.552
O  0.113  0.648  0.676
Li  0.553  0.839  0.948
Sn  0.500  0.500  0.000
P  0.769  0.014  0.318
O  0.002  0.998  0.750
O  0.549  0.220  0.436
O  0.068  0.276  0.608
P  0.014  0.769  0.818
O  0.724  0.932  0.892
O  0.780  0.451  0.064
O  0.648  0.113  0.176
P  0.986  0.231  0.182
O  0.932  0.724  0.392
Li  0.839  0.553  0.448
O  0.998  0.002  0.250

calculated volume = 14.660 Å³/atom
formation enthalpy at 0 K = -2.49 eV per atom
energy above the most stable polymorph in this dataset = 68.8 meV/atom

=====

Compound: Na6Ca6Zr2SiS11O48
Source: Materials Project
Functional: PBE
Structure: optimized geometry

a = 18.394 Å, b = 9.188 Å, c = 23.940 Å
α = 90.11°, β = 89.86°, γ = 119.95°
Positions (direct):
O  0.064  0.429  0.965
Ca  0.501  0.998  0.652
O  0.071  0.667  0.082
- Keep it short, keep it on point, but don't be afraid to make an emotional appeal. If you didn't feel strongly about these issues, you wouldn't be there.
- Your ask
- Never leave without making your ask! This is why you're there. If your representative is not a supporter of HR 1384, this should be your primary ask. If your representative is already a co-sponsor, ask them to join the Medicare for All caucus, or to sign on to our 5 principles.
- Don't allow your representative to divert from answering by asking an open-ended question. Make sure there’s a clear way to respond to your ask: “Yes, I will sign on to these 5 principles.”
- Answer any questions they might have
After the meeting be sure to have your Validator follow up with the representative and their staff to make sure they’ve done what they said they would do.
And if you find that your legislator is very supportive, build on this! Thank them in person, on social media, and in the press. Give them the kind of positive press that lets them know they don’t need big donors if they have working people on their side.
Sample Pledge Sheet
As a Congressperson from the [#] District of [State] serving in the United States House of Representatives, I am proud to represent the will of my constituents in calling for a universal health program for all residents of the United States, also known as “Medicare for All.” Nothing less than legislation that meets or exceeds the following five principles will truly fix our broken healthcare system.
A Single Health Program
Everyone will be covered by one health insurance program, administered by the federal government, and have equal access to all medical services and treatments.Comprehensive Coverage
All services requiring a medical professional will be fully covered. You go to the doctor of your choice. Dental, vision, mental health, and pharmaceuticals are all included.Free at the point of service
All healthcare costs will be financed through tax contributions based on ability to pay: no copays, no fees, no deductibles and no premiums. Ever.Universal Coverage
Coverage for all United States residents — non-citizens included.Jobs
A jobs initiative and severance for those affected by the transition to government-run healthcareSignature: __________
Date: __________
Town Halls
If you can’t track down your legislator for a meeting, you might consider going to one of your representative’s town halls to put pressure on them. DC DSA successfully pushed Representative Don Beyer to support HR 1384 in this way, and you can read more about their action and preparation here.
*Adapted from materials for Our Revolution’s Summer for Progress